



As my project gets close to optimization stage, I notice that reducing Vertex Metadata could vastly improve the performance of 3D rendering.

Eventually, I've dearly searched around and have found following advices from stackoverflow.

Using GL_SHORT instead of GL_FLOAT in an OpenGL ES vertex array

How do you represent a normal or texture coordinate using GLshorts?

Advice on speeding up OpenGL ES 1.1 on the iPhone

Simple experiments show that switching from "FLOAT" to "SHORT" for vertex and normal isn't tough, but what troubles me is when you're to scale back verticies to their original size (with glScalef), normals are multiplied by the reciprocal of the scale. Natural remedy for this is to multiply the normals w/ scale before you submit to GPU. Then, my short normals almost become 0, because the scale factor is usually smaller than 0. Duh!

### Attached: crystal structures
-- begin --
Computed, not measured: a relaxed Sn4IrAu crystal at the PBE level of DFT.

## Properties
spin magnetization	0.0	μB/cell
energy relative to the elements	-0.133	eV per atom
relative energy among the computed polymorphs	7.35	kJ per mole of atoms
SG	No. 55
V	22.9	Å³ per atom

Unit cell a=7.3258 b=7.2656 c=5.1644 alpha=90.00 beta=90.02 gamma=90.00
Last column: nearest neighbours and their distance in Å.
Atoms (fractional coordinates):
Sn  0.3702  0.8537  0.0006  2 Au 2.74-2.91, 1 Sn 2.85, 2 Ir 2.95
Sn  0.3583  0.3453  0.4995  2 Ir 2.71-2.86, 2 Au 3.00
Sn  0.8583  0.1547  0.4995  2 Ir 2.71-2.86, 2 Au 3.00
Sn  0.6298  0.1463  0.9994  2 Au 2.74-2.91, 1 Sn 2.85, 2 Ir 2.95
Sn  0.1298  0.3537  0.9994  2 Au 2.74-2.91, 1 Sn 2.85, 2 Ir 2.95
Sn  0.8702  0.6463  0.0006  2 Au 2.74-2.91, 1 Sn 2.85, 2 Ir 2.95
Au  0.5000  0.5000  0.0000  8 Sn 2.74-3.00
Ir  0.5000  0.0000  0.5000  8 Sn 2.71-2.95
Au  0.0000  0.0000  0.0000  8 Sn 2.74-3.00
Sn  0.6417  0.6547  0.5005  2 Ir 2.71-2.86, 2 Au 3.00
Sn  0.1417  0.8453  0.5005  2 Ir 2.71-2.86, 2 Au 3.00
Ir  0.0000  0.5000  0.5000  8 Sn 2.71-2.95

Computed, not measured: a relaxed LiTl2Pt crystal at the PBE level of DFT.

## Properties
spin magnetization	0.0	μB/cell
energy relative to the elements	-0.156	eV per atom
SG	No. 6
V	21.3	Å³ per atom

Unit cell a=4.2278 b=3.8988 c=5.5845 alpha=67.48 beta=90.00 gamma=90.00
Last column: nearest neighbours and their distance in Å.
Atoms (fractional coordinates):
Li  0.0000  0.7033  0.4815  2 Pt 2.56
Pt  0.5000  0.5491  0.7616  2 Li 2.56
Tl  0.0000  0.9636  0.9232  3 Li 2.89-3.01, 4 Pt 2.99-3.00
Tl  0.5000  0.2840  0.3338  3 Pt 2.94-2.96, 4 Li 2.97-2.98

Computed, not measured: a relaxed PmNdThZr crystal at the PBE level of DFT.

## Properties
spin magnetization	0.0	μB/cell
energy relative to the elements	0.215	eV per atom
SG	No. 216
V	30.2	Å³ per atom

Unit cell a=5.5506 b=5.5506 c=5.5506 alpha=60.00 beta=60.00 gamma=60.00
Last column: nearest neighbours and their distance in Å.
Atoms (fractional coordinates):
Zr  0.2500  0.2500  0.2500  4 Th 3.40, 4 Pm 3.40
Pm  0.5000  0.5000  0.5000  4 Zr 3.40, 4 Nd 3.40
Nd  0.7500  0.7500  0.7500  4 Pm 3.40, 4 Th 3.40
Th  0.0000  0.0000  0.0000  4 Nd 3.40, 4 Zr 3.40
-- stop --

How do you use "short" for both vertex and normal at the same time? I've been trying this and that for about a full day, but I could only go for "float vertex w/ byte normal" or "short vertex w/ float normal" so far.

Your help would be truly appreciated.

+1  A: 

Can't you just Normalise your normals by calling this?

glEnable( GL_NORMALIZE );

Its not ideal because normalising will likely hit the GPU a bit but it really depends on if your bottleneck is caused by the passing data to the GPU or by the GPU doing too much. As with any optimisation you need to figure out which gives the better speed up. I'd suspect you are probably slowed down by passing the vertex data so you WILL get a speed up.

I've thought about normalizing it but never really tried that because "normalizaing" is generally talked down from every article I've read. But you're right. Plus, there will always be trade off no matter what. I'll give it a shot shortly. Thanks alot.

Possible things to try:

  • try to counter the scaling by fiddling with the GL_NORMAL matrix
  • use a vertex shader to perform the calculations as you wish
  • don't scale your vertex data down, enlarge your camera matrices instead
1.GL_NORMAL matrix sounds good to me. I'll try to compare between that and GL_NORMALIZE. 2)My proj is on fixed render pipe so, no vertex shader. 3) Enlarging my camera matrix...isn't possible either because i'm delivering everything to modelview space directly. :(Thank you for the GL_NORMAL matrix :)
as for 3), you can deal with a bigger "modelview space", unless I am missing something. What I mean is that you should have control at a certain point on how to map the world to the screen coordinates, and you should be able to take advantage of that... again, unless I am missing something.